MISSION WATCH: Christians Facing Hardship In Indonesia’s Tsunami Stricken Areas

[Unrelated to this entry: data records]
~~~
[1]
PBE SrAsBr2, relaxed; total moment = 3.0 μB per cell; volume = 30.2 Å³/atom; energy relative to the elements, uncorrected = -0.578 eV/atom; SG = No. 216; excess energy over the best structure of this formula in the dataset = 421 meV/atom; calculated total energy = -11.99 eV per cell; crystal system = cubic
1.0
5.547 0.000 0.000
2.774 4.804 0.000
2.774 1.601 4.529
Sr Br As
1 2 1
Direct
0.750 0.750 0.750
0.250 0.250 0.250
0.000 0.000 0.000
0.500 0.500 0.500

---

[2]
PBE Sr4AsBr, relaxed; total moment = 0.0 μB per cell; volume = 41.8 Å³/atom; energy relative to the elements, uncorrected = 0.047 eV/atom; SG = No. 216; calculated total energy = -12.77 eV per cell; crystal system = cubic
1.0
-0.131 -1.417 6.935
-1.356 5.169 4.644
-6.146 0.079 3.514
Sr Br As
4 1 1
Direct
0.871 0.376 0.376
0.376 0.376 0.376
0.376 0.376 0.871
0.376 0.871 0.376
0.000 0.000 0.000
0.750 0.750 0.750

---

[3]
PBE SrAsBr, relaxed; total moment = 0.0 μB per cell; volume = 34.5 Å³/atom; energy relative to the elements, uncorrected = -1.377 eV/atom; SG = No. 164; excess energy over the best structure of this formula in the dataset = 0 meV/atom; calculated total energy = -24.27 eV per cell; crystal system = trigonal
1.0
4.556 0.000 0.000
-2.278 3.946 0.000
0.000 0.000 11.505
Br Sr As
2 2 2
Direct
0.333 0.667 0.336
0.667 0.333 0.664
0.000 0.000 0.804
0.000 0.000 0.196
0.667 0.333 0.019
0.333 0.667 0.981

---

[4]
PBE Sr3AsBr2, relaxed; total moment = 0.0 μB per cell; volume = 32.8 Å³/atom; energy relative to the elements, uncorrected = -1.525 eV/atom; SG = No. 12; calculated total energy = -22.19 eV per cell; crystal system = monoclinic
1.0
-1.577 2.868 3.173
-4.551 -4.122 1.463
7.167 -2.250 2.336
As Sr Br
1 3 2
Direct
0.500 0.000 0.000
0.147 0.148 0.296
0.853 0.852 0.704
0.500 0.500 0.000
0.827 0.328 0.655
0.173 0.672 0.345

---

[5]
PBE SrAs2Br8, relaxed; total moment = 0.0 μB per cell; volume = 46.2 Å³/atom; energy relative to the elements, uncorrected = -0.813 eV/atom; SG = No. 12; calculated total energy = -33.30 eV per cell; crystal system = monoclinic
1.0
-6.997 2.676 -1.917
-4.805 -1.987 6.608
-0.563 7.314 4.109
Br As Sr
8 2 1
Direct
0.314 0.791 0.791
0.816 0.647 0.647
0.686 0.209 0.209
0.785 0.084 0.713
0.215 0.287 0.916
0.785 0.713 0.084
0.184 0.353 0.353
0.215 0.916 0.287
0.362 0.171 0.171
0.638 0.829 0.829
0.000 0.000 0.000

---

[6]
PBE SrTaAs2Br, relaxed; total moment = 0.4 μB per cell; volume = 32.8 Å³/atom; energy relative to the elements, uncorrected = -0.302 eV/atom; SG = No. 123; excess energy over the best structure of this formula in the dataset = 243 meV/atom; calculated total energy = -26.01 eV per cell; crystal system = tetragonal
1.0
-2.531 -4.021 1.165
5.148 -3.906 -2.293
2.008 0.029 4.461
As Br Ta Sr
2 1 1 1
Direct
0.000 0.000 0.500
0.500 0.000 0.000
0.500 0.500 0.500
0.000 0.000 0.000
0.000 0.500 0.000

---

[7]
~~~

JAKARTA, INDONESIA (BosNewsLife)-- Christian aid workers are among those rushing to save lives in Indonesia where giant tidal waves, triggered by a volcanic eruption, crashed on the western shores of Java and the southern beaches of Sumatra, the country's two most populous islands, killing more than 430 people including Christians.

MISSION WATCH: Funding Shortfall Threatens Indonesia Bible Translations In Remote Areas

By Stefan J. Bos, Chief International Correspondent BosNewsLife reporting from Jakarta, Indonesia. JAKARTA, INDONESIA (BosNewsLife)-- A lack of funds overshadows preparations by dozens of native Christians to secretly translate and bring the Bible to 30 language groups in Indonesia who have been waiting for that moment for generations, an official supporting the project told BosNewsLife.

Persecution Christians Seen Rising In Islamic Nations

By BosNewsLife News Center with reports from Africa and Asia JAKARTA/ABUJA/BUDAPEST (BosNewsLife)-- North Korea leads a list of nations where "Christians face the most severe persecution", but "Muslim-majority" countries represent nine of the top 10 amid spreading Islamic extremism around the world, a major Christian watchdog said in comments obtained by BosNewsLife Thursday, January 5.  

Gospel Spreads As Coronavirus In Indonesia’s Jungle Villages

By Stefan J. Bos, Chief International Correspondent BosNewsLife reporting from Temuan Jaya, Indonesia TEMUAN JAYA, INDONESIA (BosNewsLife)-- They suggest their faith in Christ spreads as...

Indonesia’s Pentecostals Preach Christ After Losing Members In Islamic Attacks (UPDATE)

By Stefan J. Bos, Chief International Correspondent BosNewsLife reporting from Jakarta, Indonesia JAKARTA, INDONESIA (BosNewsLife)-- The secretary-general of Indonesia's main Pentecostal denomination says up to 20 church members are killed annually due to their faith in Jesus Christ amid mounting concern about spreading Islamic extremism here. Johannis ('John') Hus Lumenta spoke to BosNewsLife at church headquarters in Jakarta, where mosques compete for attention with the Muslim call to prayer reverberating throughout this vibrant capital

NEWS ALERT: Indonesia’s President Urges Crackdown On Militants After Anti-Christian Violence

By BosNewsLife Asia Service JAKARTA, INDONESIA (BosNewsLife)-- Indonesia's president urged authorities Wednesday, February 9, to crackdown on violent groups as a hardline Muslim mob clashed with police and attacked churches and other Christian properties in Central Java province.

BosNewsLife Covering Plight Of Persecuted Christians in Indonesia

By BosNewsLife Asia Service with reporting from BosNewsLife's Stefan J. Bos from Jakarta JAKARTA, INDONESIA (BosNewsLife)-- Millions of people in Indonesia are becoming Christians, despite efforts by authorities and militants to halt this trend, according to an extensive BosNewsLife investigation. Amid the turmoil, the world's largest Muslim nation experiences unprecedented church growth. Following are links to the SEVEN latest stories about the trials and triumphs of those seeking Christ or who raise debate about Indonesia's attitudes towards minorities. Click on the headline or read more. Media can reach reporter Stefan J. Bos for interviews or additional audio via bosnewslife@gmail.com or +36 70 31 71 611

Data records from another source follow:
No. 1
Material: LiBi2SbO6
Method: DFT, PBE-GGA
State: optimized geometry

a b c (Å): 5.736 5.736 5.874
angles (deg): 60.77 60.77 60.00
Fractional coordinates of all 10 atoms:
Li: 0.798 0.798 0.605
Bi: 0.530 0.530 0.409
Bi: 0.028 0.028 0.917
Sb: 0.319 0.319 0.042
O: 0.585 0.164 0.249
O: 0.164 0.002 0.249
O: 0.002 0.585 0.249
O: 0.468 0.650 0.765
O: 0.650 0.116 0.765
O: 0.116 0.469 0.765

Values from the calculation:
Space-group type: R3 (146)
N(E_F), states/eV/atom: 0.000
Calculated volume, A^3/atom: 13.8
Formation energy from raw total energies, eV per atom: -1.45


No. 2
Material: Li2ScBiO4
Method: DFT, PBE-GGA
State: optimized geometry

a b c (Å): 6.671 6.671 6.329
angles (deg): 118.31 118.31 95.10
Fractional coordinates of all 16 atoms:
Li: 0.500 0.000 0.000
Li: 0.500 0.000 0.500
Li: 0.000 0.000 0.500
Li: 0.500 0.500 0.000
Sc: 0.000 0.500 0.000
Sc: 0.000 0.500 0.500
Bi: 0.500 0.500 0.500
Bi: 0.000 0.000 0.000
O: 0.226 0.742 0.984
O: 0.758 0.274 0.516
O: 0.242 0.726 0.484
O: 0.774 0.258 0.016
O: 0.781 0.719 0.021
O: 0.781 0.719 0.479
O: 0.219 0.281 0.521
O: 0.219 0.281 0.979

Values from the calculation:
Space-group type: Imma (74)
N(E_F), states/eV/atom: 0.000
Calculated volume, A^3/atom: 12.5
Formation energy from raw total energies, eV per atom: -2.09


No. 3
Material: LiSc2BiO6
Method: DFT, PBE-GGA
State: optimized geometry

a b c (Å): 5.437 5.437 5.822
angles (deg): 62.17 62.17 60.00
Fractional coordinates of all 10 atoms:
Li: 0.798 0.798 0.605
Sc: 0.520 0.520 0.441
Sc: 0.021 0.021 0.938
Bi: 0.315 0.315 0.055
O: 0.615 0.230 0.242
O: 0.230 0.913 0.242
O: 0.913 0.615 0.242
O: 0.395 0.721 0.750
O: 0.721 0.134 0.750
O: 0.134 0.395 0.750

Values from the calculation:
Space-group type: R3 (146)
N(E_F), states/eV/atom: 0.000
Calculated volume, A^3/atom: 12.6
Formation energy from raw total energies, eV per atom: -2.33


No. 4
Material: Li2ScBiO
Method: DFT, PBE-GGA
State: optimized geometry

a b c (Å): 4.310 4.310 4.275
angles (deg): 90.00 90.00 90.00
Fractional coordinates of all 5 atoms:
Sc: 0.000 0.000 0.500
Bi: 0.500 0.500 0.500
O: 0.000 0.000 0.000
Li: 0.000 0.500 0.000
Li: 0.500 0.000 0.000

Values from the calculation:
Space-group type: P4/mmm (123)
N(E_F), states/eV/atom: 0.139
Calculated volume, A^3/atom: 15.9
Formation energy from raw total energies, eV per atom: -1.49


No. 5
Material: LiScBiO4
Method: DFT, PBE-GGA
State: optimized geometry

a b c (Å): 6.368 6.535 6.535
angles (deg): 62.70 60.84 60.84
Fractional coordinates of all 14 atoms:
Li: 0.621 0.629 0.129
Li: 0.379 0.371 0.871
Sc: 0.500 0.000 0.500
Sc: 0.000 0.000 0.500
Bi: 0.000 0.000 0.000
Bi: 0.000 0.500 0.500
O: 0.756 0.782 0.705
O: 0.244 0.795 0.718
O: 0.756 0.205 0.282
O: 0.244 0.218 0.295
O: 0.225 0.764 0.264
O: 0.747 0.764 0.264
O: 0.253 0.236 0.736
O: 0.775 0.236 0.736

Values from the calculation:
Space-group type: Imma (74)
N(E_F), states/eV/atom: 0.309
Calculated volume, A^3/atom: 14.2
Formation energy from raw total energies, eV per atom: -2.05


No. 6
The page goes on:

Indonesia Regent Orders Closure Of Churches

By BosNewsLife Asia Service JAKARTA, INDONESIA (BosNewsLife)-- Christians in Indonesia's semi-autonomous province of Aceh faced a tense Sunday, July 1, after local authorities ordered the demolition of 20 churches.

Malaysia Confiscates Thousands Of Bibles

By BosNewsLife Asia Service thumb_1206370202083_0p9035954515164771KUALA LUMPUR, MALAYSIA (BosNewsLife)-- Malaysia's government was still refusing Saturday, November 7, to release some 15,000 imported Bibles because the word "Allah" for God appears in them, officials said.

Indonesia Muslim Groups Oppose Church Construction

By BosNewsLife News Center 5JAKARTA, INDONESIA (BosNewsLife)-- Muslims have protested the construction of a Protestant church in the capital of Indonesia's South Sumatra Province, the latest in a series of obstacles against church projects in the mainly Muslim nation, news reports said Wednesday July 15.